
Wheel within wheels: China vs India

Sayed Kamaluddin | Tuesday, 14 June 2016

While still vacillating about the Chinese President Xi Jinping's signature initiative of One Belt, One Road (OBOR) or the new Silk Road project, India, of late, seems to be toying with the idea of developing its own connectivity network in both Southeast and Northeast-Central Asia. Indian Prime Minister Narendra Modi is under severe political pressure from voters for failing to translate his lofty electoral promises of Acche din (good days) into reality, is now trying to use his much hyped global rendezvous to put his new ideas into test.
India is now trying to negotiate the regional comprehensive economic partnership (RCEP) on top of the India-ASEAN (Association of Southeast Asian Nations) free trade agreement (FTA). Besides, Delhi is also actively working on the 14,000-km-long highway linking India with Southeast Asia through Mayanmar and Thailand. The Indian official news agency PTI reported from Bangkok last week that Delhi is funding to renovate 73 bridges built decades ago during the WWII to safely cross the highway to reach Thailand.   
Quoting Indian Ambassador to Thailand Bhagwat Singh Bishoni, PTI said when the repair work completes in the next 18 months, the highway could be opened for traffic from India through Myanmar to Thailand. It starts from Northeast India's Moreh going through Myanmar's Tamu City to Thailand's Tak, Mae Scot district. Currently negotiations are on to conclude a three-nation motor vehicle agreement for the use of the highway.
Bishoni said, the road will help transportation of goods from the seven Northeast Indian states to Myanmar, Thailand and other Asean member-countries. There has been a meeting of mind between India and Thailand and the two countries share cultural, spiritual and linguistic ties.  Besides, under-construction deep-sea port and industrial estate project in Myanmar near the Thai border is also expected to integrate Northeast India with Southeast Asian countries, he added.  
CONNECTIVITY WITH NORTHEAST-CENTRAL ASIA: Now link this with Indian Prime Minister Narendra Modi's visit to Tehran late last month in an attempt to revive economic ties with Tehran after the withdrawal of Western sanctions. He met the senior Iranian officials including President Hasan Rouhani and said that the visit would mark a "new chapter in our strategic partnership."
........
A plane-wave DFT calculation with GGA-PBE was carried out for SmMo6Se8 after structural relaxation.

## Properties
MP2020-corrected energy (eV/cell): -336.59

Cell and atoms, written as CIF:
```
data_SmMo6Se8
_cell_length_a 9.5437
_cell_length_b 9.5437
_cell_length_c 11.9818
_cell_angle_alpha 90.00
_cell_angle_beta 90.00
_cell_angle_gamma 120.00
_symmetry_space_group_name_H-M 'R -3'
_symmetry_Int_Tables_number 148
_symmetry_space_group_name_Hall '-R 3'
loop_
_atom_site_label
_atom_site_fract_x
_atom_site_fract_y
_atom_site_fract_z
Sm1 0.0000 0.0000 0.0000
Mo1 0.0169 0.1707 0.4060
Se1 0.0000 0.0000 0.2392
Se2 0.0045 0.6278 0.7506
```

=====

A plane-wave DFT calculation with GGA-PBE was carried out for CrN2 after structural relaxation.

## Properties
MP2020-corrected energy (eV/cell): -639.85

Cell and atoms, written as CIF:
```
data_CrN2
_cell_length_a 9.6876
_cell_length_b 9.7664
_cell_length_c 18.0767
_cell_angle_alpha 90.00
_cell_angle_beta 90.08
_cell_angle_gamma 119.72
_symmetry_space_group_name_H-M 'P 1'
_symmetry_Int_Tables_number 1
loop_
_symmetry_equiv_pos_as_xyz
'x,y,z'
loop_
_atom_site_label
_atom_site_fract_x
_atom_site_fract_y
_atom_site_fract_z
Cr1 0.0000 0.0000 0.0000
Cr2 0.0003 0.6713 0.4469
Cr3 0.0164 0.0094 0.5143
Cr4 0.0171 0.6709 0.9458
Cr5 0.0404 0.0020 0.1896
Cr6 0.0417 0.6724 0.2578
Cr7 0.0562 0.6695 0.7563
Cr8 0.0579 0.0107 0.7030
Cr9 0.3382 0.3284 0.4344
Cr10 0.3386 0.6595 0.4942
Cr11 0.3430 0.3473 0.9574
Cr12 0.3450 0.6798 0.0203
Cr13 0.3790 0.6589 0.6831
Cr14 0.3802 0.3311 0.2454
Cr15 0.3834 0.3457 0.7691
Cr16 0.3872 0.6821 0.2093
Cr17 0.6627 0.9940 0.9347
Cr18 0.6672 0.3402 0.5133
Cr19 0.6797 0.3312 0.0008
Cr20 0.6817 0.0104 0.4579
Cr21 0.7035 0.9932 0.7459
Cr22 0.7082 0.3401 0.7027
Cr23 0.7214 0.3335 0.1901
Cr24 0.7248 0.0128 0.2689
N1 0.0011 0.6730 0.3554
N2 0.0007 0.9890 0.0998
N3 0.0488 0.8332 0.2204
N4 0.0529 0.6689 0.8564
N5 0.0556 0.8335 0.7289
N6 0.0641 0.0237 0.6118
N7 0.1647 0.1647 0.4711
N8 0.1649 0.1674 0.9764
N9 0.1701 0.6728 0.4753
N10 0.1697 0.6771 0.9972
N11 0.2226 0.6780 0.2477
N12 0.2248 0.1710 0.2061
N13 0.2249 0.6715 0.7227
N14 0.2261 0.1716 0.7431
N15 0.3270 0.4993 0.4513
N16 0.3290 0.5045 0.9975
N17 0.3510 0.6350 0.5922
N18 0.3538 0.3082 0.3441
N19 0.3602 0.3682 0.8669
N20 0.3811 0.7025 0.1192
N21 0.3864 0.4973 0.7242
N22 0.3860 0.5016 0.2249
N23 0.4969 0.8303 0.9766
N24 0.4996 0.3402 0.4797
N25 0.5027 0.8286 0.4718
N26 0.5072 0.3421 0.9903
N27 0.5570 0.3399 0.2201
N28 0.5582 0.3423 0.7525
N29 0.5583 0.8311 0.7022
N30 0.5639 0.8386 0.2463
N31 0.6582 0.1661 0.9586
N32 0.6576 0.1681 0.4898
N33 0.6598 0.9726 0.8434
N34 0.6770 0.3494 0.6134
N35 0.7088 0.1606 0.7199
N36 0.7141 0.3210 0.0986
N37 0.7181 0.0299 0.3684
N38 0.7201 0.1663 0.2298
N39 0.8299 0.4987 0.4801
N40 0.8328 0.0046 0.9689
N41 0.8379 0.0089 0.5026
N42 0.8379 0.4954 0.9690
N43 0.8873 0.0071 0.7322
N44 0.8929 0.5015 0.7284
N45 0.8943 0.5038 0.2204
N46 0.8951 0.0128 0.2395
N47 0.9965 0.8356 0.9668
N48 0.9971 0.8376 0.4827
```

=====
........
After some discussions, he offered to help build south Iran's southern port of Chabahar with funds from India's EXIM Bank. The port located on the strategic Gulf of Oman, not very far from Pakistan's Gwador port which is being built by the Chinese. A happy Rouhani, as reported by AFP from Tehran, hailed the project and said: "It could become a great symbol of cooperation between Iran and India."
Early in June, Indian minister for shipping, highway and road transport Nitin Gadkari was quoted by India's Business Standard saying that Indian investment in the Iranian port would be to the tune of Indian rupees 6.5 billion and the port is likely to be commissioned in 18 months.    
Modi's visit in May was the first by an Indian prime minister in 15 years and took place after the international sanctions were lifted in mid-January. The sanctions were lifted following an agreement with Iran after prolonged negotiations by the five UN veto-power nations plus Germany on its nuclear programme. The agreement was signed in July 2015 but sanctions were lifted in mid-January 2016. Since the lifting of sanctions dozens of Asian and European countries visited Iran seeking a share of the 80-million strong market.
Before sanctions were imposed on Iran, it was India's second largest oil supplier but dropped to the seventh place in 2014. Delhi would now like to import more oil from Tehran but informed sources say, it also has to sort out the repayment of $6.5 billion that it currently owes to Iran.   
The two leaders were later joined by Afghan President Ashraf Ghani in Tehran to sign an earlier agreed three-way transit agreement. After the deal was signed, a gleeful Modi said, the deal connecting Iran, India and Afghanistan and to central Asia  by-passing its arch enemy Pakistan will also boost growth in the region. Modi said: "We want to link to the world, but connectivity among ourselves is also a priority," and added: "The corridor would spur unhindered flow of commerce throughout the region. Inflow of capital and technology could lead to new industrial infrastructure in Chabahar."  He intends to transform South Iranian port Chabahar into a trading hub of the region. This could be possible only when a semblance of peace restored in Afghanistan. 
India's rivalry with China is well-known. However, Modi was the last of the major countries to reach Tehran while Chinese President Xi Jinping was among the first ones to meet the Iranian leaders. China was also a member of the UN committee of 5-plus-one to discuss the lifting of sanctions over Iran's nuclear programme. So Chinese President Xi Jinping visited Tehran in late January, only days after the lifting of sanctions. Without losing any time, he pledged to expand bilateral trade to a whopping $600 billion in ten years. This was quite in line with Xi's foreign policy initiative of "One Belt One Road" (OBOR), which he launched in 2013.
NAVIGATING THE ONE BELT, ONE ROAD: Since its launching in 2013, the OBOR attracted considerable attention around the world. A joint article by Liu Mingkang, former chairman of China Banking Regulatory Commission, and Wenzhi Lu of Hong Kong University of Science and Technology distributed by Project Syndicate in January this year said, OBOR involves more than 60 countries and several international organisations, implies unprecedented opportunities and challenges. The original Silk Road, established over 2,000 years ago, was a critical network of trade routes that promoted economic, political and cultural exchange among Asia, Africa and Europe.
They pointed out: "China's new 'Silk Road Economic Belt' and 'Twenty-First Century Maritime Silk Road' will do the same with newly built or upgraded infrastructure facilitating the flow of trade, investment, culture, and ideas, and thus supporting shared economic growth… From China's perspective, the logic behind the strategy is clear. With its sources of gross domestic product (GDP) growth coming under increasing strain, China must continue to make progress in opening up the economy…." The idea was to make sure that it could become a win-win situation for all participants.
Discussing the Chinese project, London's Financial Times (FT) in a syndicated story by Amy Kazmin in early May said with the 3,488km dispute-ridden border between the two Asian neighbours, Indian strategic policy analysts are divided whether the OBOR project is a strategic and economic threat to their country or an opportunity. Many see it as something that must be carefully navigated as Beijing develops large projects in the region that India considers its natural sphere of influence. However, FT pointed out that India lacks the financial powers to offer a credible alternative.
Here the Indian government is seemingly in a dilemma. Shashank Joshi, a senior research fellow at a British defence and security think-tank the Royal United Services Institute (RUSI), was quoted to explain the reason in the story. No question that India has to be very careful in evaluating the situation. It can't be expected to come running and join the Chinese bandwagon but has made it clear that it is keeping the options open. Some of the Asian neighbours have liked the project as a good opportunity for a large flow of Chinese investment that India cannot match. So it can't be seen actively hostile to it for losing strategic support in the region.
INDIAN THINKING ON STRING OF PEARLS STRATEGY: Indian policy strategists and think-tanks seem to be heavily influenced by what has been attributed as China's so-called string of pearls strategy and are quite unable or unwilling to make any change in their thinking pattern. This theory argues that by investing in the development of ports in South Asia Beijing intends to establish naval bases in an effort to surround India. China has already helped build a major port at Hambantota in Sri Lanka overlooking important shipping lanes carrying much of the world's trade including oil. Obviously India considers it strategically important for its defence. Its suspicion was aggravated when Chinese submarines visited Colombo in 2014 that the purpose of the Chinese investment in Sri Lankan port is military and not economic. China has also offered to build ports in Bangladesh and Myanmar and while these are is still far from reaching any conclusive deals, they have nevertheless raised Indian concerns.
However, India's main concern is Beijing's plans to develop economic corridor with a $46-billion investment to link China with Pakistan, its nuclear armed next-door neighbour and arch enemy. It believes that Pakistan's Gwadar port is an essential part of the Chinese developed facilities and is part of Beijing's scheme of things to also link up the Gulf region with Northeast and Central Asia.
This scenario reveals serious clash of interests and strategies among the regional major players who are busy building their own wheel within wheels to outweigh each other. Clearly, it is long-drawn game and it appears difficult to understand and rationalise how with such deep suspicion, India is to negotiate and exercise its options on China's One Belt, One Road project.